One has to wonder whether today’s hearing held by the U.S. Senate Health Education Labor & Pensions Committee on the Obama administration’s effort to eviscerate the accountability provisions of the No Child Left Behind Act is actually going to amount to much. After all, the committee didn’t invite civil rights-oriented reformers who have steadfastly criticized the waiver gambit from the beginning. The committee also isn’t accepting any written testimony from organizations, especially those representing Native communities (who have loudly complained about how American Indian tribes were not consulted by many of the 34 state governments granted waivers as required by both the U.S. Department of Education and by the U.S. Constitution’s provisions granting them sovereign status). And while at least one of the panelists testifying before HELP today — Andy Smarick of Bellwether Education — could cast the waivers in a negative light, Kentucky education czar Terry Holliday, and and New York State Education Commissioner John King are likely to say mostly nice things about the effort. [Update: Katie Haycock of the Education Trust (which has gotten into trouble for its role in helping the administration define proficiency down as well as developing the Plessy v. Ferguson-like Cut the Gap in Half approach that is subjecting poor and minority kids to the soft bigotry of low expectations), is now going to say that she doesn’t like the direction of of the administration’s gambit; EdTrust has also released a report criticizing the effort thus far.]
-- Between two parts of the text: crystal structures --
Density functional theory data (PBE) for CeMg9Hg2 after structural relaxation.

Properties
Space group: I4_1/amd
Formation enthalpy at 0 K, eV/atom: -0.109
Magnetic moment, μB per cell: 2.7

a = 9.364 Å, b = 9.364 Å, c = 9.364 Å
α = 99.76°, β = 99.76°, γ = 131.38°
Sites, in units of the cell vectors:
Ce1 0.375 0.625 0.750
Ce2 0.625 0.375 0.250
Mg1 0.125 0.875 0.250
Mg2 0.129 0.557 0.329
Mg3 0.129 0.801 0.572
Mg4 0.199 0.272 0.329
Mg5 0.199 0.871 0.928
Mg6 0.272 0.199 0.829
Mg7 0.272 0.443 0.072
Mg8 0.443 0.272 0.572
Mg9 0.443 0.871 0.171
Mg10 0.557 0.129 0.829
Mg11 0.557 0.728 0.428
Mg12 0.728 0.557 0.928
Mg13 0.728 0.801 0.171
Mg14 0.801 0.129 0.072
Mg15 0.801 0.728 0.671
Mg16 0.871 0.199 0.428
Mg17 0.871 0.443 0.671
Mg18 0.875 0.125 0.750
Hg1 0.000 0.000 0.000
Hg2 0.000 0.000 0.500
Hg3 0.000 0.500 0.000
Hg4 0.500 0.000 0.500


Density functional theory data (PBE) for Cs2RhI2F4 after structural relaxation.

Properties
Raw formation energy, eV/atom: -1.687
Space group: I4/mmm
Magnetic moment, μB per cell: 1.0

a = 6.966 Å, b = 6.966 Å, c = 6.966 Å
α = 113.75°, β = 113.75°, γ = 101.21°
Sites, in units of the cell vectors:
Cs1 0.250 0.750 0.500
Cs2 0.750 0.250 0.500
Rh1 0.000 0.000 0.000
I1 0.306 0.306 0.000
I2 0.694 0.694 0.000
F1 0.183 0.183 0.366
F2 0.183 0.817 0.000
F3 0.817 0.183 0.000
F4 0.817 0.817 0.634


Density functional theory data (PBE) for PaTcPt after structural relaxation.

Properties
Space group: P-6m2
Formation enthalpy at 0 K, eV/atom: -0.300
Magnetic moment, μB per cell: 0.0

a = 4.385 Å, b = 4.385 Å, c = 3.681 Å
α = 90.00°, β = 90.00°, γ = 120.00°
Sites, in units of the cell vectors:
Pa1 0.000 0.000 0.000
Tc1 0.667 0.333 0.500
Pt1 0.333 0.667 0.500


Density functional theory data (PBE) for HfTlIn2Cl6 after structural relaxation.

Properties
Raw formation energy, eV/atom: -1.207
Space group: C2/m
Magnetic moment, μB per cell: 0.9

a = 7.572 Å, b = 7.572 Å, c = 6.925 Å
α = 99.88°, β = 99.88°, γ = 55.74°
Sites, in units of the cell vectors:
Hf1 0.000 0.000 0.000
Tl1 0.500 0.500 0.500
In1 0.303 0.303 0.756
In2 0.697 0.697 0.244
Cl1 0.120 0.120 0.317
Cl2 0.138 0.651 0.122
Cl3 0.349 0.862 0.878
Cl4 0.651 0.138 0.122
Cl5 0.862 0.349 0.878
Cl6 0.880 0.880 0.683


Density functional theory data (PBE) for Cs2Rb7HgO2 after structural relaxation.

Properties
Raw formation energy, eV/atom: -0.447
Space group: R32
Magnetic moment, μB per cell: 0.0

a = 12.504 Å, b = 12.504 Å, c = 12.504 Å
α = 45.54°, β = 45.54°, γ = 45.54°
Sites, in units of the cell vectors:
Cs1 0.201 0.201 0.201
Cs2 0.799 0.799 0.799
Rb1 0.251 0.253 0.683
Rb2 0.253 0.683 0.251
Rb3 0.317 0.747 0.749
Rb4 0.500 0.500 0.500
Rb5 0.683 0.251 0.253
Rb6 0.747 0.749 0.317
Rb7 0.749 0.317 0.747
Hg1 0.000 0.000 0.000
O1 0.419 0.419 0.419
O2 0.581 0.581 0.581


Density functional theory data (PBE) for Tb4AsSeS2 after structural relaxation.

Properties
Raw formation energy, eV/atom: -1.858
Space group: P2/m
Magnetic moment, μB per cell: 0.0

a = 6.966 Å, b = 4.016 Å, c = 6.985 Å
One really shouldn’t be so surprised by this. After all, as I have noted, the Obama administration’s waiver gambit does what Sen. Tom Harkin (who chairs the committee) and onetime reformer and former Tennessee governor Lamar Alexander (along with traditionalists such as the National Education Association and American Federation of Teachers) have wanted to do for a while: Eviscerate the Adequate Yearly Progress accountability provisions that have spurred a decade of reforms that have led to more kids escaping poverty and prison without having to explain themselves before the public. Few senators seem concerned with the fact that the administration’s gambit takes away real data on school performance (making it more difficult for families from being the lead decision-makers reformers need in order for overhauls to gain traction, and making it more difficult for researchers to do their work), and lets states and mediocre districts off the hook for poorly educating black, Latino, Native and poor white and Asian kids in their care. The fact that the administration is pushing states granted waivers to agree to a meaningless condition to enact “college and career-ready” standards (including Common Core) that it cannot enforce in practice also doesn’t necessarily factor into their thoughts.
Chances are that Harkin is merely holding the hearing to put pressure on the Obama administration to grant his home state of Iowa a waiver after deciding not to do so last year. Considering how arbitrarily the administration has granted the waivers — including allowing Oregon, Michigan and Kansas to ignore No Child’s accountability rules without either having put their proposed in place or rolling them out beyond a pilot stage — one can’t blame Harkin for wanting to do so. Whatever the case, Harkin and his colleagues don’t seem like they are going to ask any hard questions about the efficacy of the process by which the Obama administration is granting the waivers, the consequences of the gambit on the systemic reforms needed to help all children get high-quality education, or whether the waiver gambit is legal in the first place.
Yet Harkin and the rest of his colleagues should be asking a few tough questions about the Obama administration’s waiver gambit. Three of them can only be answered conclusively by Duncan himself. But they which a senator with gumption can and should pose.
The first? Why does the Obama administration have peer review panels in place when it insists on ignoring their concerns and recommendations? As Dropout Nation has noted within the past year, those very review boards have raised significant concerns about many of the plans submitted by states such as New York as well as by the District of Columbia; D.C., one panel was particularly concerned that D.C.’s transition plan to embrace Common Core math and reading standards was not “realistic and of high quality”, and lacked a “high-quality plan” for ensuring that English Language Learners and special ed students could get strong, comprehensive, college[preparatory curricula. Yet the Department of Education granted waivers anyway. Based on these facts, along with other examples of sloppiness (including allowing states to inflate graduation rates — and ruining the efforts spurred by No Child to gain more-accurate data — by counting GEDs toward their calculations), one can easily argue that the administration’s process is just plain half-baked, with no theory of action driving it other than the desire of Duncan and President Barack Obama to put their stamp on federal education policy even at the cost of stalling systemic reform efforts being undertaken on the ground.
(Next to the article, the page also holds data records)
/*
[1]
# CaHgCl2

CaHgCl2 at its PBEsol-relaxed geometry (SCAN, Alexandria via LeMat-Bulk).

Structure (CIF):
```
data_CaHgCl2
_cell_length_a 7.193
_cell_length_b 7.193
_cell_length_c 7.193
_cell_angle_alpha 90.00
_cell_angle_beta 90.00
_cell_angle_gamma 90.00
_symmetry_space_group_name_H-M 'F -4 3 m'
_symmetry_Int_Tables_number 216
_symmetry_space_group_name_Hall 'F -4 2 3'
loop_
_atom_site_label
_atom_site_type_symbol
_atom_site_fract_x
_atom_site_fract_y
_atom_site_fract_z
Ca1 Ca 0.000 0.000 0.000
Hg1 Hg 0.250 0.250 0.750
Cl1 Cl 0.000 0.000 0.500
Cl2 Cl 0.250 0.250 0.250
```

---

[2]
# CaHgCl2

CaHgCl2 at its PBEsol-relaxed geometry (SCAN, Alexandria via LeMat-Bulk).

Structure (CIF):
```
data_CaHgCl2
_cell_length_a 6.924
_cell_length_b 3.999
_cell_length_c 9.307
_cell_angle_alpha 90.00
_cell_angle_beta 104.10
_cell_angle_gamma 90.00
_symmetry_space_group_name_H-M 'C 1 2/m 1'
_symmetry_Int_Tables_number 12
_symmetry_space_group_name_Hall '-C 2y'
loop_
_atom_site_label
_atom_site_type_symbol
_atom_site_fract_x
_atom_site_fract_y
_atom_site_fract_z
Ca1 Ca 0.000 0.000 0.000
Hg1 Hg 0.000 0.500 0.500
Cl1 Cl 0.218 0.500 0.158
```

---

[3]
# CaHgPCl2

CaHgPCl2 at its PBEsol-relaxed geometry (SCAN, Alexandria via LeMat-Bulk).

Structure (CIF):
```
data_CaHgPCl2
_cell_length_a 5.107
_cell_length_b 5.107
_cell_length_c 5.864
_cell_angle_alpha 90.00
_cell_angle_beta 90.00
_cell_angle_gamma 90.00
_symmetry_space_group_name_H-M 'P 4/m m m'
_symmetry_Int_Tables_number 123
_symmetry_space_group_name_Hall '-P 4 2'
loop_
_atom_site_label
_atom_site_type_symbol
_atom_site_fract_x
_atom_site_fract_y
_atom_site_fract_z
Ca1 Ca 0.000 0.000 0.000
Hg1 Hg 0.500 0.500 0.500
P1 P 0.000 0.000 0.500
Cl1 Cl 0.000 0.500 0.000
```

---

Per-record DOS at the Fermi energy, states/eV per cell: 0.000; 0.000; 2.311
Per-record raw formation energy, eV per atom: -1.374; -1.924; -0.680
*/
(The article goes on)
The second question: What will Duncan do when those state granted waivers cannot put their promised reforms in place? This is an important question because it is the issue right now. Take New York State, where districts New York City and Buffalo cannot get American Federation of Teachers affiliates to agree to implementing the Empire State’s modest performance-based teacher evaluation system (which only requires the use of Value-Added student test score growth data for only as much as two-fifths of the overall measurement). While Gov. Andrew Cuomo is threatening to both the Big Apple and the AFT to propose a law allowing the state education department unilaterally put the new evaluations in place, the fact that the AFT’s Big Apple and Empire State affiliates are among the most-influential donors to state legislators (including Senate Majority Leader Dean Skelos) makes Cuomo’s threat a rather empty one. Sure the Obama administration can decide to withdraw the waiver. But that would require a level of discipline that the administration has yet to demonstrate in a meaningful way.
Which leads to question number three: What actions will states take to meet their obligations under their respective waivers if traditionalists and others oppose those efforts? This is important because, unlike No Child (which was federal law passed by Congress, and thus, gave reform-minded governors and legislators a tool to leverage in driving their overhauls), the waivers have a questionable legal status. It is also an issue because, like the Obama administration’s signature reform effort, Race to the Top, there is an (implied) emphasis on cooperation with AFT and National Education Association affiliates. Traditionalists know this. So do those conservative reformers who oppose the move by states to embrace Common Core standards. Given that states such as New York and New Mexico developed their proposals without consulting with Native groups and communities as required under the waiver process, there are others who may not be so willing to embrace any proposals submitted, giving both sides allies for their efforts.
These facts makes it easier for both groups to battle against reforms than they could under No Child’s regulations. This is already playing out in New York State with the teacher evaluation effort, and it will happen in other states. If, say, Florida’s legislature passes a law stopping the implementation of Common Core (unlikely to happen), Education Commissioner Tony Bennett can’t do more than try to persuade Gov. Rick Scott to veto the legislation or sue to overturn it in federal court.
Then there’s question four: How can a state help poor and minority kids get high-quality education when the elimination of AYP and subgroup accountability as the levers for holding districts and schools responsible have been replaced with new systems that render those kids invisible? Your editor doesn’t expect either Harkin, Alexander, or Mike Enzi (who helped Harkin on his previous and blessedly ill-fated attempt at reauthorizing No Child) to ask this question. But perhaps Michael Bennet (who was once Denver superintendent) should give it a try. The new systems, as civil rights-based reformers and others have warned, make it harder for everyone in education to know how well children are being taught.
For example, A-to-F grading, which is being used in states such as Indiana and New Mexico appear at first to help families get simpler data on school performance. But it doesn’t work in practice because the underlying formulas allow for schools and districts to hide how poorly they are educating black, Latino and Native kids; a school can hide its wide achievement gaps and still get an A grade if it meets the other categories in the formula. Meanwhile the tactic of putting all minority kids into super-subgroups ends up being a subterfuge because it hides the performance of kids from different backgrounds; a district can, say, do poorly in providing college preparatory curricula to Native Hawaiian children in its schools and still appear to do fine so long as the achievement gaps between groups don’t appear to be so wide. If these systems are complicated for families and researchers, it can’t be any simpler for state education agencies with limited resources to do close monitoring.
Certainly the Obama administration has attempted to put a fig leaf over these problems by telling states to continue using AYP in reporting to the federal government, as well as emphasizing accurate reporting of graduation rates. But given that the waivers no longer require either AYP or accurate graduation rates to be used in practice for accountability purposes, that effort is just plain meaningless. Add in the fact that in some states — most-notably Virginia — the accountability measures, along with proficiency levels on state tests, are secondary in importance to shoddy accreditation processes, and suddenly, the waiver gambit has done little more than create even more mess.
And finally: Will Obama and Duncan finally admit that they simply need to go ahead and push for a reauthorization of No Child instead of continuing this shoddy bit of rulemaking? Certainly the administration has no interest in pursuing reauthorization and neither do House Republicans (especially Speaker John Boehner, who helped craft No Child and isn’t likely interested in allowing House Education and the Workforce Committee Chairman John Kline make his attempt at eviscerating the law). For his part, Kline has made clear that he would rather have several piecemeal laws than the No Child omnibus, while Harkin likely can’t stomach another battle between traditionalists and reformers within the Democratic National Committee similar to that which occurred the last time he tried to push for reauthorization. Your editor had long ago argued for leaving No Child alone as is. But given that the Obama administration has caused this mess, it would make sense that it try to clean it up in a responsible manner by pursuing a reauthorization that strengthens and expands accountability as much as politically possible. Of course, it could just let the waivers lapse over time and allow No Child’s accountability measures to come back into play; this would be preferable. In any case, Obama and Duncan owe our children nothing less than to do something other than continue this waiver gambit.